And the future is now. Mobile adoption has exploded and shows no signs of slowing down. It's amazing how quickly people are switching from desktops and laptops to mobile for both their personal lives. And as Salesforce CEO Marc Benioff showed during the Connections opening keynote, they are switching to mobile devices to run their professional lives as well.

During today's breakout sessions, the Director of Client Strategy and Development for Resolution Media, George Manas, and Facebook's manager of strategic partnerships, Ravi Adusumilli, both shared extensive data about how quickly mobile adoption broadly, and Facebook adoption specifically, have grown.

Of the 1.3 billion Facebook users, 1.1 billion of them are on mobile today. That's 81% of all Facebook users, up from 60% in Q2 2013. Not only that, but 399 million Facebook users are mobile only today, up from 219 million one year ago. As George said, Facebook had exactly zero dollars of mobile ads revenue when it IPO'd. By Q2 2014, 62% of Facebook's revenue is from mobile ads!

# Inserted here: molecular data
1.

What does all of those users mean for the broader mobile ecosystem? One in every four minutes of global smartphone users' time is spent on Facebook. In fact, people spend more time with Facebook on mobile than the ten next biggest mobile properties, combined! These users are heavily invested in the Facebook app on both iOS and Android (including the new iPhone 6!) and their time in-app far outstrips other app usage. Today, 86% of time on mobile is spent on apps, as Ravi presented. He also described how more than half of all travel bookings are made via mobile apps.

This is a signal of a major change in how advertisers buy and target their ads. Until recently, digital advertising meant web-only ads. As an advertiser, you could rely on third party cookies to target your ads, and search and banner ads to reach your audience.

{"formula": "C47H37F3N3SSbTeTi", "method": "ωB97M-V with the def2-TZVPD basis set", "energy_ev": -109739.695, "e_above_lowest_kj_mol": 105.52, "homo_ev": [-6.634, -7.195], "homo_lumo_gap_ev": [5.3, 5.9], "max_force_ev_per_a": 4.31, "multiplicity": 3, "symbols": ["Ti", "C", "C", "C", "C", "C", "C", "C", "C", "S", "C", "N", "C", "C", "C", "C", "C", "C", "C", "C", "H", "H", "H", "H", "H", "H", "H", "H", "H", "H", "H", "H", "H", "H", "H", "H", "N", "C", "C", "C", "C", "N", "C", "C", "H", "H", "H", "H", "Te", "C", "C", "C", "C", "C", "C", "H", "H", "H", "H", "H", "F", "C", "C", "C", "C", "C", "C", "Sb", "C", "C", "C", "C", "F", "C", "C", "C", "C", "C", "C", "F", "C", "C", "H", "H", "H", "H", "H", "H", "H", "H", "H", "H", "H", "H"], "coordinates": [[1.652, -0.351, -0.258], [-3.631, 1.634, 4.474], [-2.386, 0.932, 3.880], [-1.416, 0.477, 4.945], [-2.817, -0.273, 3.047], [-1.622, 1.904, 2.880], [-1.728, 3.327, 2.860], [-1.055, 4.134, 1.977], [-0.213, 3.530, 1.127], [0.742, 4.216, -0.199], [1.406, 2.657, -0.510], [1.075, 1.694, 0.268], [0.025, 2.140, 1.110], [-0.682, 1.375, 2.050], [2.459, 2.260, -1.492], [3.067, 3.236, -2.223], [4.133, 2.966, -3.105], [4.340, 1.629, -3.345], [3.666, 0.593, -2.672], [2.647, 0.891, -1.732], [-4.091, 1.022, 5.248], [-4.360, 1.716, 3.689], [-3.486, 2.697, 4.846], [-0.492, -0.157, 4.586], [-2.006, -0.077, 5.624], [-1.067, 1.251, 5.537], [-3.556, -0.946, 3.500], [-1.929, -0.903, 2.812], [-3.292, 0.000, 2.069], [-2.420, 3.827, 3.591], [-1.144, 5.234, 1.963], [-0.238, 0.408, 2.197], [2.820, 4.379, -2.121], [4.635, 3.740, -3.620], [5.188, 1.316, -3.825], [3.917, -0.377, -2.891], [2.921, -0.494, 7.033], [2.794, -0.490, 5.922], [2.766, -0.437, 4.539], [2.633, -1.629, 3.815], [2.404, -1.458, 2.491], [2.447, -0.303, 1.733], [2.628, 0.760, 2.531], [2.767, 0.783, 3.888], [2.499, -2.599, 4.098], [2.259, -2.368, 1.978], [2.754, 1.746, 2.149], [2.780, 1.684, 4.365], [1.513, -3.205, -1.044], [3.665, -3.500, -1.022], [4.237, -3.996, -2.191], [5.590, -4.311, -2.202], [6.379, -4.071, -1.051], [5.821, -3.594, 0.104], [4.410, -3.361, 0.146], [3.540, -4.206, -3.046], [6.122, -4.603, -3.127], [7.446, -4.395, -1.065], [6.280, -3.486, 1.095], [3.964, -3.078, 1.067], [-5.627, -3.657, 0.970], [-4.647, -2.877, 0.451], [-4.935, -1.718, -0.238], [-3.931, -0.935, -0.739], [-2.569, -1.370, -0.569], [-2.338, -2.548, 0.059], [-3.352, -3.299, 0.675], [-0.985, -0.316, -1.507], [-1.255, -1.127, -3.424], [-2.309, -1.963, -3.851], [-2.413, -2.519, -5.115], [-1.326, -2.271, -5.947], [-1.335, -2.746, -7.200], [-0.310, -1.409, -5.606], [-0.269, -0.855, -4.327], [-2.193, 1.498, -1.796], [-2.799, 2.233, -0.778], [-3.393, 3.505, -0.936], [-3.332, 4.076, -2.227], [-3.873, 5.306, -2.531], [-2.711, 3.434, -3.237], [-2.128, 2.162, -3.097], [-6.001, -1.522, -0.482], [-4.206, -0.097, -1.341], [-1.313, -2.828, 0.151], [-3.085, -4.260, 1.097], [-3.064, -2.283, -3.152], [-3.152, -3.217, -5.412], [0.489, -1.206, -6.377], [0.559, -0.206, -4.078], [-2.815, 1.859, 0.255], [-3.880, 3.991, -0.011], [-2.551, 3.961, -4.229], [-1.712, 1.712, -3.945]]}

Mobile users break this model. Advertisers can't do user-based third-party cookies on mobile, and neither classic banner nor search ads work in a mobile app-first environment. In fact, according to Facebook internal data Ravi presented, 67% of mobile users start shopping on one device and finish on another. Instead, dominant digital platforms including Facebook, Twitter, and LinkedIn maintain users' social identities across devices and enable native advertising that's highly targeted and personalized on a one to one basis.

# Unrelated to this piece: records of molecules
- - -
Formula: C18H18F2O2
Source: OMol25
Level of theory: wB97M-V/def2-TZVPD

```
! RIJCOSX wB97M-V def2-TZVPD def2/J DEFGRID3
* xyz 0 1
O 2.060 0.650 -4.549
F 2.553 -1.141 0.870
F 0.463 -2.093 2.324
O 1.631 2.655 -1.630
C 1.857 0.878 -3.343
C 5.246 2.722 -0.882
C 5.296 1.923 0.268
C 4.012 2.931 -1.549
C 0.474 1.846 0.983
C 4.121 1.341 0.771
C -0.610 1.297 1.728
C 1.551 -0.294 1.176
C 0.444 -0.813 1.897
C 2.830 2.402 -1.009
C 1.625 1.062 0.787
C 2.873 1.604 0.148
C -0.638 0.001 2.208
C 1.535 2.334 -3.019
C -3.536 -0.894 1.205
C -3.564 -2.270 3.294
C -1.805 -0.484 3.023
C -2.678 -1.525 2.288
H 1.748 0.034 -2.637
H 6.198 3.115 -1.263
H 6.249 1.750 0.795
H 4.001 3.600 -2.414
H 0.412 2.869 0.589
H 4.107 0.715 1.665
H -1.440 1.969 1.933
H 0.495 2.453 -3.338
H 2.165 3.013 -3.619
H -4.128 -1.666 0.710
H -4.189 -0.145 1.640
H -2.931 -0.347 0.473
H -4.304 -1.610 3.788
H -4.123 -2.989 2.739
H -2.970 -2.807 4.051
H -2.448 0.324 3.332
H -1.384 -0.928 3.910
H -2.034 -2.313 1.823
*
```

Calculated values
E: -28486.9890 eV
ΔE to the lowest compared entry with this formula, charge and spin: 0.7 kcal/mol
SMILES string: CC(C)Cc1ccc(-c2ccccc2OCC=O)c(F)c1F

---

Formula: C18H18F5N3O3S
Source: OMol25
Level of theory: wB97M-V/def2-TZVPD

```
! RIJCOSX wB97M-V def2-TZVPD def2/J DEFGRID3
* xyz 0 1
C -6.562 0.212 -1.334
O -6.218 -0.369 -0.026
S -4.860 -1.338 -0.190
O -5.342 -2.553 -0.932
O -3.845 -0.532 -1.295
C -2.598 -0.175 -0.735
F -2.242 -0.886 0.411
F -2.656 1.217 -0.436
C -1.508 -0.343 -1.927
F -0.417 0.496 -1.771
F -2.219 -0.062 -3.112
F -1.171 -1.706 -1.936
H -6.262 -0.472 -2.200
H -5.998 1.205 -1.446
H -7.687 0.348 -1.412
N 1.455 -1.259 2.999
C 0.678 -1.388 1.913
C 0.906 -0.724 0.718
C 1.999 0.127 0.639
C 2.817 0.280 1.747
C 2.506 -0.431 2.895
H -0.165 -2.062 2.025
H 0.249 -0.867 -0.125
H 2.210 0.666 -0.278
H 3.678 0.937 1.721
H 3.118 -0.348 3.787
N 0.703 3.223 4.158
C 0.696 4.536 3.883
C 0.161 5.080 2.727
C -0.399 4.219 1.795
C -0.405 2.856 2.053
C 0.153 2.412 3.242
H 1.148 5.169 4.640
H 0.181 6.150 2.559
H -0.828 4.605 0.877
H -0.833 2.154 1.348
H 0.170 1.356 3.491
N 5.185 -2.828 -2.896
C 4.443 -3.610 -3.694
C 3.062 -3.692 -3.626
C 2.405 -2.924 -2.676
C 3.149 -2.108 -1.837
C 4.526 -2.095 -1.987
H 5.002 -4.194 -4.418
H 2.514 -4.340 -4.299
H 1.325 -2.961 -2.590
H 2.670 -1.496 -1.084
H 5.151 -1.470 -1.357
*
```

Calculated values
E: -53990.7596 eV

---

Formula: C18H18F6N3PdSb2
Source: OMol25
Level of theory: wB97M-V/def2-TZVPD

```
! RIJCOSX wB97M-V def2-TZVPD def2/J DEFGRID3
* xyz 4 6
Pd 0.006 -0.273 -0.440
C -3.599 -0.603 -1.117
C -3.251 -0.654 0.290
C -4.200 -1.202 1.238
C -3.889 -1.315 2.587
C -2.668 -0.832 3.011
C -1.803 -0.230 2.035
N -2.061 -0.152 0.758
Sb -0.007 0.957 2.475
C -0.003 2.352 0.866
C 0.004 3.696 1.138
C 0.013 4.573 0.039
C 0.011 4.054 -1.234
C 0.002 2.663 -1.447
C -0.012 2.064 -2.815
N -0.001 1.842 -0.388
C 1.794 -0.224 2.028
C 2.664 -0.838 2.991
C 3.868 -1.351 2.549
C 4.160 -1.252 1.194
C 3.208 -0.688 0.262
C 3.516 -0.669 -1.156
- - -
# Here the piece continues

George Manas of Resolution Media showed the power of targeting customers on mobile devices for a campaign that drove downloads of a global media brand's new video. With narrow targeting and custom audiences, Resolution Media showed ads only to interested buyers on iPhones and iPads, with a click-to-download button right in the ads. These ads leads to a 28% increase in advertising efficiency, a 30% lift in engagement, and a 15% gain in purchase intent.

In his breakout session, Ravi Adusumilli walked through how powerful mobile ads can be not just for app installs and downloads, but also for downstream conversions. Today's mobile story is much broader than just immediate installs, because Facebook's data clearly shows that even if a customer later makes a purchase on a desktop computer, they are often first influenced to make the purchase by an ad on mobile.

As a social advertiser, you should engage with your audiences where they spend their time today, which means reaching them on their mobile devices as well as in other channels and locations.